### Source
~~~
Entry from the Materials Project database: Dy3Al5O12 after structural relaxation (r2SCAN).

Computed properties:
* E: -1095.40 eV per cell
* size of the total moment: 0.00 Bohr magnetons per cell
* symmetry: Ia-3d, No. 230

abc: 10.3852 10.3852 10.3852
angles: 109.47 109.47 109.47
Element x y z (fractional)
1 Al 0.5000 0.0000 0.0000
2 Al 0.7500 0.8750 0.1250
3 Al 0.8750 0.1250 0.7500
4 Al 0.7500 0.3750 0.6250
5 Al 0.1250 0.8750 0.2500
6 Al 0.3750 0.2500 0.6250
7 Al 0.6250 0.3750 0.2500
8 Al 0.0000 0.5000 0.5000
9 Al 0.0000 0.0000 0.5000
10 Al 0.1250 0.7500 0.8750
11 Al 0.5000 0.5000 0.0000
12 Al 0.2500 0.6250 0.3750
13 Al 0.6250 0.7500 0.3750
14 Al 0.5000 0.5000 0.5000
15 Al 0.3750 0.6250 0.7500
16 Al 0.5000 0.0000 0.5000
17 Al 0.2500 0.1250 0.8750
18 Al 0.0000 0.0000 0.0000
19 Al 0.8750 0.2500 0.1250
20 Al 0.0000 0.5000 0.0000
21 O 0.0982 0.6181 0.4186
22 O 0.9018 0.0199 0.3204
23 O 0.0199 0.1994 0.1181
24 O 0.6796 0.0814 0.6994
25 O 0.1994 0.5814 0.1796
26 O 0.4018 0.0814 0.8819
27 O 0.8006 0.4186 0.8204
28 O 0.0982 0.9801 0.6796
29 O 0.9018 0.3819 0.5814
30 O 0.1796 0.1994 0.5814
31 O 0.6796 0.0982 0.9801
32 O 0.1181 0.5982 0.9186
33 O 0.8204 0.8006 0.4186
34 O 0.8819 0.9801 0.8006
35 O 0.6181 0.4186 0.0982
36 O 0.1181 0.0199 0.1994
37 O 0.0814 0.6994 0.6796
38 O 0.6994 0.5199 0.6181
39 O 0.4801 0.5982 0.1796
40 O 0.4186 0.8204 0.8006
41 O 0.5814 0.9018 0.3819
42 O 0.4018 0.8204 0.5199
43 O 0.3204 0.9186 0.3006
44 O 0.3006 0.3204 0.9186
45 O 0.6181 0.6994 0.5199
46 O 0.5814 0.1796 0.1994
47 O 0.5199 0.6181 0.6994
48 O 0.3006 0.4801 0.3819
49 O 0.8204 0.5199 0.4018
50 O 0.9186 0.1181 0.5982
51 O 0.3819 0.5814 0.9018
52 O 0.3819 0.3006 0.4801
53 O 0.8006 0.8819 0.9801
54 O 0.1994 0.1181 0.0199
55 O 0.5199 0.4018 0.8204
56 O 0.9801 0.8006 0.8819
57 O 0.9186 0.3006 0.3204
58 O 0.4186 0.0982 0.6181
59 O 0.5982 0.1796 0.4801
60 O 0.1796 0.4801 0.5982
61 O 0.3204 0.9018 0.0199
62 O 0.9801 0.6796 0.0982
63 O 0.6994 0.6796 0.0814
64 O 0.5982 0.9186 0.1181
65 O 0.4801 0.3819 0.3006
66 O 0.8819 0.4018 0.0814
67 O 0.0814 0.8819 0.4018
68 O 0.0199 0.3204 0.9018
69 Dy 0.8750 0.7500 0.6250
70 Dy 0.2500 0.3750 0.1250
71 Dy 0.8750 0.6250 0.2500
72 Dy 0.6250 0.8750 0.7500
73 Dy 0.3750 0.1250 0.2500
74 Dy 0.3750 0.7500 0.1250
75 Dy 0.6250 0.2500 0.8750
76 Dy 0.1250 0.3750 0.7500
77 Dy 0.1250 0.2500 0.3750
78 Dy 0.2500 0.8750 0.6250
79 Dy 0.7500 0.1250 0.3750
80 Dy 0.7500 0.6250 0.8750

Entry from the Materials Project database: Dy3Al12Os4 after structural relaxation (r2SCAN).

Computed properties:
* E: -803.41 eV per cell
* size of the total moment: 0.00 Bohr magnetons per cell
* symmetry: P6_3/mmc, No. 194

abc: 8.7759 8.7759 9.5119
angles: 90.00 90.00 120.00
Element x y z (fractional)
1 Dy 0.1932 0.8068 0.2500
2 Dy 0.6136 0.8068 0.2500
3 Dy 0.1932 0.3864 0.2500
4 Dy 0.8068 0.6136 0.7500
5 Dy 0.8068 0.1932 0.7500
6 Dy 0.3864 0.1932 0.7500
7 Os 0.5000 0.5000 0.0000
8 Os 0.0000 0.5000 0.0000
9 Os 0.0000 0.0000 0.5000
10 Os 0.5000 0.0000 0.5000
11 Os 0.5000 0.0000 0.0000
12 Os 0.5000 0.5000 0.5000
13 Os 0.0000 0.5000 0.5000
14 Os 0.0000 0.0000 0.0000
15 Al 0.1632 0.3263 0.9249
16 Al 0.3263 0.1632 0.4249
17 Al 0.8368 0.1632 0.0751
18 Al 0.6737 0.8368 0.5751
19 Al 0.1632 0.3263 0.5751
20 Al 0.3333 0.6667 0.4885
21 Al 0.1632 0.8368 0.5751
22 Al 0.1223 0.5611 0.7500
23 Al 0.6667 0.3333 0.5115
24 Al 0.4389 0.8777 0.7500
25 Al 0.8368 0.6737 0.0751
26 Al 0.0000 0.0000 0.7500
27 Al 0.3263 0.1632 0.0751
28 Al 0.4389 0.5611 0.7500
29 Al 0.5611 0.4389 0.2500
30 Al 0.5611 0.1223 0.2500
31 Al 0.6737 0.8368 0.9249
32 Al 0.8777 0.4389 0.2500
33 Al 0.8368 0.6737 0.4249
34 Al 0.8368 0.1632 0.4249
35 Al 0.6667 0.3333 0.9885
36 Al 0.1632 0.8368 0.9249
37 Al 0.0000 0.0000 0.2500
38 Al 0.3333 0.6667 0.0115

Entry from the Materials Project database: Dy4Al24Pd9 after structural relaxation (r2SCAN).

Computed properties:
* E: -524.33 eV per cell
* size of the total moment: 0.00 Bohr magnetons per cell
* symmetry: P-1, No. 2

abc: 7.4995 7.5155 13.0964
~~~
### Assignment
Next, echo everything earlier on without additions.
### Result
Entry from the Materials Project database: Dy3Al5O12 after structural relaxation (r2SCAN).

Computed properties:
* E: -1095.40 eV per cell
* size of the total moment: 0.00 Bohr magnetons per cell
* symmetry: Ia-3d, No. 230

abc: 10.3852 10.3852 10.3852
angles: 109.47 109.47 109.47
Element x y z (fractional)
1 Al 0.5000 0.0000 0.0000
2 Al 0.7500 0.8750 0.1250
3 Al 0.8750 0.1250 0.7500
4 Al 0.7500 0.3750 0.6250
5 Al 0.1250 0.8750 0.2500
6 Al 0.3750 0.2500 0.6250
7 Al 0.6250 0.3750 0.2500
8 Al 0.0000 0.5000 0.5000
9 Al 0.0000 0.0000 0.5000
10 Al 0.1250 0.7500 0.8750
11 Al 0.5000 0.5000 0.0000
12 Al 0.2500 0.6250 0.3750
13 Al 0.6250 0.7500 0.3750
14 Al 0.5000 0.5000 0.5000
15 Al 0.3750 0.6250 0.7500
16 Al 0.5000 0.0000 0.5000
17 Al 0.2500 0.1250 0.8750
18 Al 0.0000 0.0000 0.0000
19 Al 0.8750 0.2500 0.1250
20 Al 0.0000 0.5000 0.0000
21 O 0.0982 0.6181 0.4186
22 O 0.9018 0.0199 0.3204
23 O 0.0199 0.1994 0.1181
24 O 0.6796 0.0814 0.6994
25 O 0.1994 0.5814 0.1796
26 O 0.4018 0.0814 0.8819
27 O 0.8006 0.4186 0.8204
28 O 0.0982 0.9801 0.6796
29 O 0.9018 0.3819 0.5814
30 O 0.1796 0.1994 0.5814
31 O 0.6796 0.0982 0.9801
32 O 0.1181 0.5982 0.9186
33 O 0.8204 0.8006 0.4186
34 O 0.8819 0.9801 0.8006
35 O 0.6181 0.4186 0.0982
36 O 0.1181 0.0199 0.1994
37 O 0.0814 0.6994 0.6796
38 O 0.6994 0.5199 0.6181
39 O 0.4801 0.5982 0.1796
40 O 0.4186 0.8204 0.8006
41 O 0.5814 0.9018 0.3819
42 O 0.4018 0.8204 0.5199
43 O 0.3204 0.9186 0.3006
44 O 0.3006 0.3204 0.9186
45 O 0.6181 0.6994 0.5199
46 O 0.5814 0.1796 0.1994
47 O 0.5199 0.6181 0.6994
48 O 0.3006 0.4801 0.3819
49 O 0.8204 0.5199 0.4018
50 O 0.9186 0.1181 0.5982
51 O 0.3819 0.5814 0.9018
52 O 0.3819 0.3006 0.4801
53 O 0.8006 0.8819 0.9801
54 O 0.1994 0.1181 0.0199
55 O 0.5199 0.4018 0.8204
56 O 0.9801 0.8006 0.8819
57 O 0.9186 0.3006 0.3204
58 O 0.4186 0.0982 0.6181
59 O 0.5982 0.1796 0.4801
60 O 0.1796 0.4801 0.5982
61 O 0.3204 0.9018 0.0199
62 O 0.9801 0.6796 0.0982
63 O 0.6994 0.6796 0.0814
64 O 0.5982 0.9186 0.1181
65 O 0.4801 0.3819 0.3006
66 O 0.8819 0.4018 0.0814
67 O 0.0814 0.8819 0.4018
68 O 0.0199 0.3204 0.9018
69 Dy 0.8750 0.7500 0.6250
70 Dy 0.2500 0.3750 0.1250
71 Dy 0.8750 0.6250 0.2500
72 Dy 0.6250 0.8750 0.7500
73 Dy 0.3750 0.1250 0.2500
74 Dy 0.3750 0.7500 0.1250
75 Dy 0.6250 0.2500 0.8750
76 Dy 0.1250 0.3750 0.7500
77 Dy 0.1250 0.2500 0.3750
78 Dy 0.2500 0.8750 0.6250
79 Dy 0.7500 0.1250 0.3750
80 Dy 0.7500 0.6250 0.8750

Entry from the Materials Project database: Dy3Al12Os4 after structural relaxation (r2SCAN).

Computed properties:
* E: -803.41 eV per cell
* size of the total moment: 0.00 Bohr magnetons per cell
* symmetry: P6_3/mmc, No. 194

abc: 8.7759 8.7759 9.5119
angles: 90.00 90.00 120.00
Element x y z (fractional)
1 Dy 0.1932 0.8068 0.2500
2 Dy 0.6136 0.8068 0.2500
3 Dy 0.1932 0.3864 0.2500
4 Dy 0.8068 0.6136 0.7500
5 Dy 0.8068 0.1932 0.7500
6 Dy 0.3864 0.1932 0.7500
7 Os 0.5000 0.5000 0.0000
8 Os 0.0000 0.5000 0.0000
9 Os 0.0000 0.0000 0.5000
10 Os 0.5000 0.0000 0.5000
11 Os 0.5000 0.0000 0.0000
12 Os 0.5000 0.5000 0.5000
13 Os 0.0000 0.5000 0.5000
14 Os 0.0000 0.0000 0.0000
15 Al 0.1632 0.3263 0.9249
16 Al 0.3263 0.1632 0.4249
17 Al 0.8368 0.1632 0.0751
18 Al 0.6737 0.8368 0.5751
19 Al 0.1632 0.3263 0.5751
20 Al 0.3333 0.6667 0.4885
21 Al 0.1632 0.8368 0.5751
22 Al 0.1223 0.5611 0.7500
23 Al 0.6667 0.3333 0.5115
24 Al 0.4389 0.8777 0.7500
25 Al 0.8368 0.6737 0.0751
26 Al 0.0000 0.0000 0.7500
27 Al 0.3263 0.1632 0.0751
28 Al 0.4389 0.5611 0.7500
29 Al 0.5611 0.4389 0.2500
30 Al 0.5611 0.1223 0.2500
31 Al 0.6737 0.8368 0.9249
32 Al 0.8777 0.4389 0.2500
33 Al 0.8368 0.6737 0.4249
34 Al 0.8368 0.1632 0.4249
35 Al 0.6667 0.3333 0.9885
36 Al 0.1632 0.8368 0.9249
37 Al 0.0000 0.0000 0.2500
38 Al 0.3333 0.6667 0.0115

Entry from the Materials Project database: Dy4Al24Pd9 after structural relaxation (r2SCAN).

Computed properties:
* E: -524.33 eV per cell
* size of the total moment: 0.00 Bohr magnetons per cell
* symmetry: P-1, No. 2

abc: 7.4995 7.5155 13.0964